• Given:
********
1.
A plane-wave DFT calculation with GGA-PBE was carried out for Cr3Si6N11 after structural relaxation.

Values from the calculation:
Space-group type = P4bm, No. 100

Cell lengths 9.8043, 9.8043, 4.8077 Å; angles 90.00, 90.00, 90.00 degrees
Last column: nearest neighbours and their distance in Å.
Element x y z (fractional)
Cr: 0.0000 0.0000 0.0000  4 N 2.23
Cr: 0.2108 0.2892 0.0178  5 N 2.12-2.22
Cr: 0.2892 0.7892 0.0178  5 N 2.12-2.22
Cr: 0.5000 0.5000 0.0000  4 N 2.23
Cr: 0.7108 0.2108 0.0178  5 N 2.12-2.22
Cr: 0.7892 0.7108 0.0178  5 N 2.12-2.22
Si: 0.0828 0.7964 0.6097  4 N 1.71-1.76
Si: 0.1173 0.6173 0.1376  4 N 1.64-1.78
Si: 0.2036 0.0828 0.6097  4 N 1.71-1.76
Si: 0.2964 0.5828 0.6097  4 N 1.71-1.76
Si: 0.3827 0.1173 0.1376  4 N 1.64-1.78
Si: 0.4172 0.2964 0.6097  4 N 1.71-1.76
Si: 0.5828 0.7036 0.6097  4 N 1.71-1.76
Si: 0.6173 0.8827 0.1376  4 N 1.64-1.78
Si: 0.7036 0.4172 0.6097  4 N 1.71-1.76
Si: 0.7964 0.9172 0.6097  4 N 1.71-1.76
Si: 0.8827 0.3827 0.1376  4 N 1.64-1.78
Si: 0.9172 0.2036 0.6097  4 N 1.71-1.76
N: 0.0000 0.5000 0.1871  2 Si 1.64
N: 0.0748 0.1797 0.7594  2 Si 1.72-1.74
N: 0.0952 0.7861 0.2560  2 Si 1.71-1.76
N: 0.1583 0.6583 0.7862  3 Si 1.76-1.78
N: 0.1797 0.9252 0.7594  2 Si 1.72-1.74
N: 0.2139 0.0952 0.2560  2 Si 1.71-1.76
N: 0.2861 0.5952 0.2560  2 Si 1.71-1.76
N: 0.3203 0.4252 0.7594  2 Si 1.72-1.74
N: 0.3417 0.1583 0.7862  3 Si 1.76-1.78
N: 0.4048 0.2861 0.2560  2 Si 1.71-1.76
N: 0.4252 0.6797 0.7594  2 Si 1.72-1.74
N: 0.5000 0.0000 0.1871  2 Si 1.64
N: 0.5748 0.3203 0.7594  2 Si 1.72-1.74
N: 0.5952 0.7139 0.2560  2 Si 1.71-1.76
N: 0.6583 0.8417 0.7862  3 Si 1.76-1.78
N: 0.6797 0.5748 0.7594  2 Si 1.72-1.74
N: 0.7139 0.4048 0.2560  2 Si 1.71-1.76
N: 0.7861 0.9048 0.2560  2 Si 1.71-1.76
N: 0.8203 0.0748 0.7594  2 Si 1.72-1.74
N: 0.8417 0.3417 0.7862  3 Si 1.76-1.78
N: 0.9048 0.2139 0.2560  2 Si 1.71-1.76
N: 0.9252 0.8203 0.7594  2 Si 1.72-1.74

=====

2.
A plane-wave DFT calculation with GGA-PBE was carried out for Er5C2Br9 after structural relaxation.

Values from the calculation:
Space-group type = P2_1/c, No. 14

Cell lengths 10.1575, 16.4541, 13.4333 Å; angles 90.00, 121.98, 90.00 degrees
Last column: nearest neighbours and their distance in Å.
Element x y z (fractional)
Er: 0.0110 0.0560 0.2625  1 C 2.19
Er: 0.0110 0.4440 0.7625  1 C 2.19
Er: 0.0131 0.6607 0.7195  2 C 2.44-2.50, 1 Br 2.70
Er: 0.0131 0.8393 0.2195  2 C 2.44-2.50, 1 Br 2.70
Er: 0.1608 0.0376 0.0330  4 C 2.48-2.66
Er: 0.1608 0.4624 0.5330  4 C 2.48-2.66
Er: 0.2097 0.6862 0.5543  1 C 2.19
Er: 0.2097 0.8138 0.0543  1 C 2.19
Er: 0.3545 0.5585 0.8099  2 C 2.44-2.50, 1 Br 2.70
Er: 0.3545 0.9415 0.3100  2 C 2.44-2.50, 1 Br 2.70
Er: 0.6455 0.0585 0.6901  2 C 2.44-2.50, 1 Br 2.70
Er: 0.6455 0.4415 0.1900  2 C 2.44-2.50, 1 Br 2.70
Er: 0.7903 0.1862 0.9457  1 C 2.19
Er: 0.7903 0.3138 0.4457  1 C 2.19
Er: 0.8392 0.5376 0.4670  4 C 2.48-2.66
Er: 0.8392 0.9624 0.9670  4 C 2.48-2.66
Er: 0.9869 0.1607 0.7805  2 C 2.44-2.50, 1 Br 2.70
Er: 0.9869 0.3393 0.2805  2 C 2.44-2.50, 1 Br 2.70
Er: 0.9890 0.5560 0.2375  1 C 2.19
Er: 0.9890 0.9440 0.7375  1 C 2.19
C: 0.0731 0.5294 0.6685  1 C 1.44
C: 0.0731 0.9706 0.1685  1 C 1.44
C: 0.1263 0.5885 0.6179  1 C 1.44
C: 0.1263 0.9115 0.1179  1 C 1.44
C: 0.8737 0.0885 0.8821  1 C 1.44
C: 0.8737 0.4115 0.3821  1 C 1.44
C: 0.9269 0.0294 0.8315  1 C 1.44
C: 0.9269 0.4706 0.3315  1 C 1.44
Br: 0.0792 0.2014 0.1733  3 Er 2.92-3.09
Br: 0.0792 0.2986 0.6733  3 Er 2.92-3.09
Br: 0.0874 0.0666 0.6556  2 Er 2.73-2.84
Br: 0.0874 0.4334 0.1556  2 Er 2.73-2.84
Br: 0.0952 0.6934 0.1399  3 Er 2.83-3.08
Br: 0.0952 0.8066 0.6399  3 Er 2.83-3.08
Br: 0.2795 0.1712 0.9687  2 Er 2.70-2.85
Br: 0.2795 0.3288 0.4687  2 Er 2.70-2.85
Br: 0.2954 0.5703 0.4406  3 Er 2.85-2.89
Br: 0.2954 0.9297 0.9406  3 Er 2.85-2.89
Br: 0.3018 0.6823 0.9361  3 Er 2.86-3.11
Br: 0.3018 0.8177 0.4361  3 Er 2.86-3.11
Br: 0.3199 0.0572 0.4583  3 Er 2.83-3.12
Br: 0.3199 0.4428 0.9583  3 Er 2.83-3.12
Br: 0.4631 0.0613 0.2348  2 Er 2.70-2.85
********

• To do:
What is needed: search the block further above for the word "and" and reproduce each line that has it.

• Response:
Last column: nearest neighbours and their distance in Å.
Last column: nearest neighbours and their distance in Å.